Don't Send That Outraged E-Mail

Recently by Gary North: Dear Unpublished Author:

Blog it instead, I’m going to show you how. It’s free. It’s fast. It’s the way to go. Ask Matt Drudge. He didn’t send an email to Newsweek deploring the spiking of an article. He posted his report — without objections — on his blog in 1998. This eventually got a President impeached. His site gets 6 million visits a day. Meanwhile, Newsweek is up for sale. Here is the great irony: (two employees) is worth more than Newsweek.

So, you read a bonehead article. You’re convinced that what that author really needs is a piece of your mind. You think you can spare it. You have decided to sit down and write him an email.

Here are eleven good reasons not to do it.


This seems obvious. The author is someone famous. He doesn’t list his email address. You will have to find ways around this.

One way around this is to post your email as an article on your blog site.

What’s that? You don’t have a blog site? Stick with me. You will have one by this afternoon — tomorrow morning at the latest.

Anyway, back to my strategy. If you post your critical letter on your blog, Google is likely to pick it up and list it.

Famous people tend to be egomaniacs. They use Google searches on their names to see what people are saying about them. If your critical response to his bonehead article is posted on your site, he may find it.

If he sees it on a public forum, he is more likely to read it than read an email from a stranger. When our ideas are online, they can do him more damage.


Famous people use spam filters. These filters are digital. They screen out a lot of spam, but emails from people not on the author’s list of accepted contacts get forwarded to the junk email box. You probably have such a box in your email. Your ISP may have one, even if you don’t have one in your email program.

If you sit down and spend time writing your list of corrections, and then send it as an email, you will have no assurance that the author will ever read it. You have gone to a lot of trouble. The result is questionable. Your brilliant observations may be sitting in a junk mail folder. Then, one of these days, he will click the EMPTY JUNK MAIL option, and your brilliant observations are gone forever, except in your SENT folder.

3. NUT-CASE . . . BLIP!

The famous author long ago learned that the world is filled with jerks, big-mouths, ill-informed blow-hards, and nut cases. These people have these things in common:

1. Time on their hands2. Strong opinions3. An inflated self-opinion4. A desire to show off5. A limited audience, constantly shrinking

Their friends have grown tired of listening to them. They find that nobody takes them seriously. This does not produce self-examination on their part. Rather, it produces a growing resentment against all those people who do not share their views and listen to them. This persuades them to go looking for other people who will pay attention to them. Any famous author becomes a target.

Famous people get emails all day long from critics. The easy response is to take one look at the first sentence and come to a judgment: “nut-case” or “serious critic.” If the recipient decides on the first, it’s instant DELETE. He may read another few sentences if the letter sounds half-way coherent. But he probably won’t. What’s in it for him?

If the email includes lots of all-caps words, he clicks DELETE.

If it does not include links to supporting materials, it gets deleted.

If it has misspellings, it gets deleted.

In short, a critical email from a stranger is considered guilty until proven innocent. It is likely to get blipped.

Don’t waste your time.

But what if you included a brief note in your email. “I have posted a detailed critique of you recent article on ….. You may be especially interested on the document you either are unaware of or conveniently failed to mention.”

Accompanying that cryptic comment is a link to your article, which is posted on your blog.

He is more likely to read the article on your blog than read a long e-mail.

4. TAR BABY . . . BLIP!

Even worse than a nut-case, from the point of view of the recipient, is a tar baby.

If you recall the Uncle Remus story — or if you recall the original, no longer PC version in Walt Disney’s long-padlocked Song of the South — the tar baby entrapped B’rer Rabbit. B’rer Fox constructed it, knowing B’rer Rabbit would take the bait.

It did not talk. B’rer Rabbit said “Hi.” It remained mute. He said it again. It remained mute. Finally, out of exasperation, B’rer Rabbit hit it. His paw got stuck. He hit it with his other paw. He could not get out. B’rer Fox had him.

An email tar baby is a person with a hobby horse. He wants to ride. He takes every opportunity to ride. He has alienated his friends, who don’t want to hear about it any more,

### Next to the page, the page also holds crystal structures
~~~
<a>
# PBE Ba2AlIn, optimized geometry
# - Calculated volume: 40.82 A^3/atom
# - Density of states at the Fermi level: 34.09 states/eV per cell
data_Ba2AlIn
_cell_length_a 9.486
_cell_length_b 9.486
_cell_length_c 7.259
_cell_angle_alpha 90.00
_cell_angle_beta 90.00
_cell_angle_gamma 90.00
_space_group_name_H-M_alt 'I -4 2 d'
_space_group_IT_number 122
_space_group_name_Hall 'I -4 2bw'
loop_
_atom_site_label
_atom_site_type_symbol
_atom_site_fract_x
_atom_site_fract_y
_atom_site_fract_z
Ba1 Ba 0.233 0.250 0.125
Al1 Al 0.000 0.000 0.000
In1 In 0.000 0.000 0.500


<b>
# PBE Ba2AlIn, optimized geometry
# - Calculated volume: 36.07 A^3/atom
# - Density of states at the Fermi level: 1.82 states/eV per cell
data_Ba2AlIn
_cell_length_a 4.166
_cell_length_b 5.465
_cell_length_c 6.337
_cell_angle_alpha 90.00
_cell_angle_beta 90.00
_cell_angle_gamma 90.00
_space_group_name_H-M_alt 'P m m 2'
_space_group_IT_number 25
_space_group_name_Hall 'P 2 -2'
loop_
_atom_site_label
_atom_site_type_symbol
_atom_site_fract_x
_atom_site_fract_y
_atom_site_fract_z
Ba1 Ba 0.000 0.000 0.000
Ba2 Ba 0.000 0.500 0.393
Al1 Al 0.500 0.000 0.546
In1 In 0.500 0.500 0.847


Order of stability, best first: <b>, <a>


<a>
# PBE Ba2AlIn, optimized geometry
# - Calculated volume: 35.86 A^3/atom
# - Density of states at the Fermi level: 5.39 states/eV per cell
data_Ba2AlIn
_cell_length_a 4.231
_cell_length_b 5.845
_cell_length_c 11.601
_cell_angle_alpha 90.00
_cell_angle_beta 90.00
_cell_angle_gamma 90.00
_space_group_name_H-M_alt 'I m m 2'
_space_group_IT_number 44
_space_group_name_Hall 'I 2 -2'
loop_
_atom_site_label
_atom_site_type_symbol
_atom_site_fract_x
_atom_site_fract_y
_atom_site_fract_z
Ba1 Ba 0.000 0.000 0.000
Ba2 Ba 0.000 0.500 0.191
Al1 Al 0.000 0.000 0.432
In1 In 0.000 0.500 0.772


<b>
# PBE Ba2AlIn, optimized geometry
# - Calculated volume: 35.76 A^3/atom
# - Density of states at the Fermi level: 8.23 states/eV per cell
data_Ba2AlIn
_cell_length_a 5.197
_cell_length_b 5.197
_cell_length_c 10.592
_cell_angle_alpha 90.00
_cell_angle_beta 90.00
_cell_angle_gamma 90.00
_space_group_name_H-M_alt 'I -4 m 2'
_space_group_IT_number 119
_space_group_name_Hall 'I -4 -2'
loop_
_atom_site_label
_atom_site_type_symbol
_atom_site_fract_x
_atom_site_fract_y
_atom_site_fract_z
Ba1 Ba 0.000 0.000 0.000
Ba2 Ba 0.000 0.500 0.250
Al1 Al 0.000 0.000 0.500
In1 In 0.000 0.500 0.750


Order of stability, best first: <a>, <b>


<a>
# PBE Ba2AlIn, optimized geometry
# - Calculated volume: 41.07 A^3/atom
# - Density of states at the Fermi level: 13.07 states/eV per cell
data_Ba2AlIn
_cell_length_a 4.1971
_cell_length_b 4.1971
_cell_length_c 32.3077
_cell_angle_alpha 90.00
_cell_angle_beta 90.00
_cell_angle_gamma 120.00
_space_group_name_H-M_alt 'R -3 m'
_space_group_IT_number 166
_space_group_name_Hall '-R 3 2"'
loop_
_atom_site_label
_atom_site_type_symbol
_atom_site_fract_x
_atom_site_fract_y
_atom_site_fract_z
Ba1 Ba 0.0000 0.0000 0.2469
Al1 Al 0.0000 0.0000 0.5000
In1 In 0.0000 0.0000 0.0000
~~~

He could write a book on this, and get it out of his system. But that would take work. He does not want to devote that much effort.

It could be worse. He has written a manuscript, but no publisher will touch it. This really has him in a snit. He goes looking for someone — anyone — to interact with him. He’ll show them.

The recipient has two choices. Remain mute, and become a tar baby for the heckler, or respond, and become enmeshed in a lifetime of emails.

The fanatic will not stop. At last: someone has responded! Someone famous! He will not let go. The famous author has a new pen pal — pen enemy — for life. He’s doomed.

The best approach is to add the sender to the “Block Sender” list, which automatically forwards the letters to the junk mail folder.

Tar babies rarely have their own blog sites. Create one. Then send your letter, with a link to your article. As soon as you are perceived as a tar baby, you will go onto the “Block Senders” list.

For my full views on the tar baby phenomenon, click here.


You are convinced that he has laid a gigantic egg in full public view. This gives you an opportunity to respond in public. This is part of the Web’s system of etiquette. It is considered legitimate to disembowel someone in full public view if he has posted his opinions on the Web.

The Web in fact encourages debate. It thrives on it. That is why people like public forums. They hammer away at each other by the hour. This is why I never read forums on free blog sites. The nut-cases are out in force, 24×7.

If you really do have the goods on the guy, get this in front of others. As long as you are going to go to the time and trouble of composing a response, do it for the whole world. You never know who is going to show up on your critique. Google pulls in people from all over the world. You cannot know who will show up.

Besides, if you are going to rant at the article, you will find it far more fun to twist the guy’s tail online than in private.

If you really do draw blood, he will be tempted to respond. He may be so tempted that he provides a link to your article in his response. This is another way to draw traffic to your site. If he writes for a large-traffic site, so much the better. The link will count for more in Google’s “importance factor” algorithm.

Records of crystals that have nothing to do with the piece:
┌──
An optimized crystal structure of AcTm4Cr3O12, computed with PBE with a Hubbard U. Values from VASP.

Geometry as Quantum ESPRESSO input:
```
&SYSTEM
  ibrav = 0, nat = 20, ntyp = 4
/
ATOMIC_SPECIES
Cr 52.00 Cr.upf
Tm 168.93 Tm.upf
O 16.00 O.upf
Ac 227.00 Ac.upf
ATOMIC_POSITIONS angstrom
Cr 1.712 -3.440 1.294
Cr -3.178 -2.103 -1.383
Cr 1.845 -0.431 -3.584
Tm 0.189 -2.986 -1.837
Tm -1.523 0.453 -3.131
Tm -1.656 -2.556 1.748
Tm 3.368 -0.884 -0.453
O 2.928 -4.842 0.631
O 0.223 -5.032 -0.968
O 1.668 -2.311 -0.321
O 1.843 -3.551 -3.210
O -3.804 -3.970 -1.481
O -1.135 -4.715 1.670
O 0.156 -0.941 -2.705
O -1.465 -2.422 -0.463
O -2.550 -1.131 -4.305
O 4.182 -2.003 -2.192
O 1.513 -1.258 -5.343
O -1.290 -3.662 -3.352
Ac 0.000 0.000 0.000
CELL_PARAMETERS angstrom
-3.046 0.906 -6.262
6.735 -1.768 -0.907
-3.311 -5.111 3.496
```

Output
Electronic total energy ... -7.953 eV per atom


1.
Below is an optimized crystal structure of HfSi2Hg, with properties calculated at the PBEsol level.

Total DFT energy (no corrections), eV per atom: -5.443
Total magnetization, μB/atom: 0.00
Crystal system: tetragonal
Symmetry: I-42d

Cell lengths 5.8474, 5.8474, 5.8474 Å; angles 104.66, 104.66, 119.60 degrees
Closest atoms and distances in Å follow each position.
Atoms (fractional coordinates):
Hf1 0.0000 0.0000 0.0000  4 Si 2.71, 2 Hg 2.94
Hf2 0.7500 0.2500 0.5000  4 Si 2.71, 2 Hg 2.94
Si1 0.1408 0.6250 0.0158  2 Hg 2.56, 2 Hf 2.71
Si2 0.3750 0.3908 0.5158  2 Hg 2.56, 2 Hf 2.71
Si3 0.6092 0.1250 0.9842  2 Hg 2.56, 2 Hf 2.71
Si4 0.8750 0.8592 0.4842  2 Hg 2.56, 2 Hf 2.71
Hg1 0.2500 0.7500 0.5000  4 Si 2.56
└──
The records of crystals stop here:

Why limit the effects of exposing the author’s errors? Share the wealth!


If you write a critical email in the hope of changing his mind, then you are naïve. You are not quite a certifiable nut-case, but you are bordering on it.

People who are important enough to get their articles posted and gain lots of readers are fixed in their views. They are probably experienced writers. This means they are older.

People over age 30 are unlikely to change their views. The personal price (meaning cost) of changing is too high. They may have to abandon their positioning, which is basic to their career’s success. They may have to re-think their premises. This is expensive. Remember: “You can’t change just one thing.” Then add this: “especially your mind.”

His price of changing his view is high. Remember this economic law: “When the price rises, less is demanded.”

He has spent years coming to his opinion. He may have researched the topic. The article you don’t like may be the tip of a large iceberg. He may know a lot more about this than you think he does.

-- These records of crystals were left in the piece by mistake --
<<<
The following is a PBE+U calculation of a relaxed Li4CoPtO6 crystal, from OQMD via LeMat-Bulk.

Summary:
M_tot: 1.0 μB per formula unit
Energy above the lowest structure with this stoichiometry: 0 meV per atom
Density: 6.09 g/cm³

a b c (Å): 5.0171 5.0171 5.0106
angles (deg): 99.74 99.74 119.88
Positions (direct):
Li1 0.0000 0.0000 0.0000
Li2 0.1610 0.8390 0.5000
Li3 0.4973 0.5027 0.5000
Li4 0.8406 0.1594 0.5000
Co1 0.3329 0.6671 0.0000
Pt1 0.6668 0.3332 0.0000
O1 0.0902 0.4345 0.2301
O2 0.2644 0.2765 0.7654
O3 0.4223 0.0660 0.2331
O4 0.5655 0.9098 0.7699
O5 0.7235 0.7356 0.2346
>>>

Why should your email change his mind? Who are you, anyway? No one important. How does he know this? Because you sent an email. If you were anyone important, your highly critical article would be posted somewhere.


There are lots of people out there who publish really bad articles. If you spend time sending emails, you waste your time. If you post these as articles, your site carries more weight. Why? Because it’s growing.

I see reviews of books on Amazon. Some people review hundreds of books. If these people are not posting their reviews on their own blog site, they are missing a way to build readers.

If your site is targeted on one topic, you can publish book reviews, article reviews, and video reviews. Divide them into categories: Good Stuff/Bad Stuff. Then divide them into subcategories.

The idea here is to position yourself as an expert who keeps on top of the literature in a topic. So, when you send an email with a link to your critical review, the author reading it will not automatically assume that you don’t know what you’re talking about.


Over time, others will visit your site if it provides them with useful material. One useful item is a solid review. It tells people what is worth buying and reading and why, and what is not.

The goal should be to serve the public. A letter to a critic does not serve the public. It wastes your time.

As the popularity of your site grows, your reputation as an expert will grow. A site with hundreds of articles is impressive to anyone who visits it. Even if he doesn’t read all of them — he won’t — the site testifies to your diligence. A visitor thinks, “this person must know his stuff. Look at all these articles. This took a lot of time.”

It did take a lot of time. But sending emails takes time. Better to put the time to better use. Don’t send critical emails. Post critical articles.


If you post on or, the site will stay up forever. You don’t have to pay anything. Whatever criticism you have today will be available for someone to discover in a decade or a century.

The blog sites are a great benefit to anyone who wants to leave a permanent record free of charge. There are no monthly fees. The domain name doesn’t lapse for non-payment,

If you think someone is wrong about this or that, and the author has gone public with his idea, you might as well get maximum leverage for your written response. Why not let it become part of the public record? Why not let it stay public long beyond your death? Don’t do things halfway. Do them right from the beginning. Sign up today.


You will get more hits if you set up your own domain ($10/year), set up your own site on a hosting service (maybe $5/month), and post your articles. But you have to pay.

This is more work. It’s better to start a blog on Blogger or WordPress than not start anything, ever.

To create a nice-looking site, download the free WordPress software. It’s here.

You can download free software to help you design a site. An easy, powerful program in Atahualpa. A compactly coded program is Thematic. If you get thousands of hits a day, Thematic is a good choice. You probably won’t get that many hits.

You can host your site on any one of hundreds of services. I use Hostgator. There are inexpensive Baby Croc accounts. The advantage of Hostgator is that you can put up an unlimited number of separate sites with separate domain names at no extra cost. There are other hosting services that offer this benefit.

Why send an outraged email when you can build a site that will build a following? It makes no sense.


If you post your email online, you can share it with others. You can encourage them to imitate you.

They may not be interested in your rant. But they may read it if you position yourself as follows.

Take a look at this article I just posted. I figure this is better than sending the guy an email

You could do the same. I’d be happy to show you how I set up my site. It was easy.

I’ve produced some short screencast videos on how I did this.

You can produce five-minute videos and post them on or All you need is a $30 Radio Shack lavaliere (lapel) microphone to make them look professional. Just narrate whatever you’re doing on-screen. Show them how to create a site.


As long as you’re committed enough to mail a bonehead a corrective email, you might as well inflict some real damage.

We need thousands of websites and blogs. That’s how we can inflict damage. But these can also be part of an informal network to help build a better society.

Get involved. Start your own blog.

July 14, 2010

Gary North [send him mail] is the author of Mises on Money. Visit He is also the author of a free 20-volume series, An Economic Commentary on the Bible.

Copyright © 2010 Gary North